• Wanted:
Now give back everything further below verbatim.
• Given:
=====
Density functional theory data (ωB97M-V with the def2-TZVPD basis set) for a cluster of 2 separate species, C4H13NO in total at a distorted geometry.

Each line ends with the Mulliken charge.
Atoms and positions in Å:
H1 2.56816 -0.51504 2.01575  0.304
H2 0.44226 -2.36066 -0.49048  0.306
C1 -0.60805 -0.49113 0.01256  -0.075
H3 1.75470 0.27583 3.39893  0.296
H4 2.95223 1.07805 2.37175  0.368
H5 -1.55562 -0.11399 0.39663  0.364
C2 -0.53543 -1.88389 -0.60376  -0.991
H6 -1.27528 1.23562 -2.30520  0.173
H7 -1.22611 -2.64700 -0.25650  0.284
H8 -0.23566 0.23534 -0.71043  -0.021
H9 1.60110 0.90201 0.35777  0.270
C3 2.08976 0.39695 2.37341  -1.192
H10 -0.62621 -1.66090 -1.67115  0.294
O1 0.22593 -0.37077 1.17903  -0.352
C4 1.07872 0.75806 1.31415  -0.182
H11 -2.47402 0.29809 -2.97200  0.186
H12 0.44692 1.62194 1.52622  0.311
H13 -2.44397 2.02677 -3.22587  0.179
N1 -2.17946 1.21470 -2.71080  -0.521

Calculated values
* HOMO-LUMO gap: 10.46 eV
* ΔE to the lowest compared entry with this formula, charge and spin: 29.2 kcal per mole

Density functional theory data (ωB97M-V with the def2-TZVPD basis set) for a cluster of 2 separate species, C4H13NO in total at a distorted geometry.

Each line ends with the Mulliken charge.
Atoms and positions in Å:
O1 0.77106 1.76019 -1.98224  -0.654
H1 1.46415 1.14589 -1.71917  0.308
C1 -2.45731 -0.69579 -0.55369  -1.113
H2 1.35869 -1.16860 1.31705  0.429
N1 -0.28692 -0.10646 0.47440  -0.241
H3 -0.63723 0.14381 1.38747  0.217
H4 2.86866 0.62132 1.36194  0.356
C2 -1.02515 -1.12719 -0.25948  -0.419
H5 -2.81788 -0.01162 0.19425  0.311
H6 -0.45265 -1.27959 -1.17446  0.296
H7 1.65540 -0.59299 -0.29299  0.425
C3 1.82549 0.88965 1.16530  -1.105
H8 -0.96692 -2.09303 0.21420  0.409
H9 -3.16908 -1.52020 -0.48326  0.328
H10 1.23505 1.17276 2.04081  0.319
C4 1.13638 -0.37670 0.59046  -0.795
H11 0.08441 1.62284 -1.31380  0.324
H12 -2.44770 -0.13469 -1.48425  0.296
H13 1.86153 1.75039 0.51744  0.310

Calculated values
* HOMO-LUMO gap: 10.04 eV
* ΔE to the lowest compared entry with this formula, charge and spin: 16.2 kcal per mole

Density functional theory data (ωB97M-V with the def2-TZVPD basis set) for a cluster of 2 separate species, C4H13NO in total at a distorted geometry.

Each line ends with the Mulliken charge.
Atoms and positions in Å:
N1 -0.54330 0.33744 1.11712  -0.546
C1 -0.90792 -0.42384 -0.18991  0.071
O1 2.68503 0.48681 1.90820  -0.668
H1 -0.52460 -1.39215 -0.18783  0.378
H2 -0.07014 1.40594 -1.10906  0.281
C2 -0.19572 0.35285 -1.33646  -0.420
H3 2.02994 -0.24614 1.81429  0.315
H4 -1.00150 1.27832 0.99415  0.265
H5 -0.91386 0.44309 -2.15714  0.398
C3 1.20985 -0.30520 -1.60144  -1.426
C4 -2.47499 -0.54934 -0.33474  -1.529
H6 1.78876 -0.12426 -0.77466  0.328
H7 -2.81284 -0.99439 -1.20250  0.439
H8 -3.07822 0.42324 -0.27136  0.312
H9 -0.87879 -0.25064 1.88338  0.240
H10 -2.94905 -1.08189 0.48694  0.393
H11 2.14374 1.12087 2.40612  0.316
H12 1.24960 -1.29030 -1.57376  0.551
H13 1.55255 0.00497 -2.61866  0.303

Calculated values
* HOMO-LUMO gap: 10.51 eV
* ΔE to the lowest compared entry with this formula, charge and spin: 32.2 kcal per mole

Density functional theory data (ωB97M-V with the def2-TZVPD basis set) for a cluster of 2 separate species, C4H13NO in total at a distorted geometry.

Each line ends with the Mulliken charge.
Atoms and positions in Å:
N1 -0.92797 1.49686 -1.65693  -0.639
H1 -0.74208 -2.32335 0.90511  0.412
C1 -0.79885 0.92871 -0.29745  -0.502
H2 -1.29631 -0.92046 1.78490  0.364
C2 0.59292 -1.01021 -1.10852  -1.428
H3 -0.39372 0.89364 -2.28821  0.239
H4 0.57515 -0.75374 -2.17107  0.431
H5 0.40321 -1.10273 1.43722  0.359
H6 1.49621 -0.54840 -0.70396  0.288
H7 1.96368 1.32823 2.94200  0.273
H8 -1.55088 -0.99734 -0.87939  0.182
C3 -0.67718 -0.60695 -0.35449  0.688
H9 1.18657 1.16804 1.62420  0.268
H10 -0.35777 2.33952 -1.72099  0.266
C4 -0.59615 -1.26589 1.02522  -1.520
H11 0.74717 -2.08953 -1.08832  0.389
O1 2.00125 0.92884 2.07034  -0.635
H12 0.06900 1.33894 0.22291  0.242
=====
• Outcome:
Density functional theory data (ωB97M-V with the def2-TZVPD basis set) for a cluster of 2 separate species, C4H13NO in total at a distorted geometry.

Each line ends with the Mulliken charge.
Atoms and positions in Å:
H1 2.56816 -0.51504 2.01575  0.304
H2 0.44226 -2.36066 -0.49048  0.306
C1 -0.60805 -0.49113 0.01256  -0.075
H3 1.75470 0.27583 3.39893  0.296
H4 2.95223 1.07805 2.37175  0.368
H5 -1.55562 -0.11399 0.39663  0.364
C2 -0.53543 -1.88389 -0.60376  -0.991
H6 -1.27528 1.23562 -2.30520  0.173
H7 -1.22611 -2.64700 -0.25650  0.284
H8 -0.23566 0.23534 -0.71043  -0.021
H9 1.60110 0.90201 0.35777  0.270
C3 2.08976 0.39695 2.37341  -1.192
H10 -0.62621 -1.66090 -1.67115  0.294
O1 0.22593 -0.37077 1.17903  -0.352
C4 1.07872 0.75806 1.31415  -0.182
H11 -2.47402 0.29809 -2.97200  0.186
H12 0.44692 1.62194 1.52622  0.311
H13 -2.44397 2.02677 -3.22587  0.179
N1 -2.17946 1.21470 -2.71080  -0.521

Calculated values
* HOMO-LUMO gap: 10.46 eV
* ΔE to the lowest compared entry with this formula, charge and spin: 29.2 kcal per mole

Density functional theory data (ωB97M-V with the def2-TZVPD basis set) for a cluster of 2 separate species, C4H13NO in total at a distorted geometry.

Each line ends with the Mulliken charge.
Atoms and positions in Å:
O1 0.77106 1.76019 -1.98224  -0.654
H1 1.46415 1.14589 -1.71917  0.308
C1 -2.45731 -0.69579 -0.55369  -1.113
H2 1.35869 -1.16860 1.31705  0.429
N1 -0.28692 -0.10646 0.47440  -0.241
H3 -0.63723 0.14381 1.38747  0.217
H4 2.86866 0.62132 1.36194  0.356
C2 -1.02515 -1.12719 -0.25948  -0.419
H5 -2.81788 -0.01162 0.19425  0.311
H6 -0.45265 -1.27959 -1.17446  0.296
H7 1.65540 -0.59299 -0.29299  0.425
C3 1.82549 0.88965 1.16530  -1.105
H8 -0.96692 -2.09303 0.21420  0.409
H9 -3.16908 -1.52020 -0.48326  0.328
H10 1.23505 1.17276 2.04081  0.319
C4 1.13638 -0.37670 0.59046  -0.795
H11 0.08441 1.62284 -1.31380  0.324
H12 -2.44770 -0.13469 -1.48425  0.296
H13 1.86153 1.75039 0.51744  0.310

Calculated values
* HOMO-LUMO gap: 10.04 eV
* ΔE to the lowest compared entry with this formula, charge and spin: 16.2 kcal per mole

Density functional theory data (ωB97M-V with the def2-TZVPD basis set) for a cluster of 2 separate species, C4H13NO in total at a distorted geometry.

Each line ends with the Mulliken charge.
Atoms and positions in Å:
N1 -0.54330 0.33744 1.11712  -0.546
C1 -0.90792 -0.42384 -0.18991  0.071
O1 2.68503 0.48681 1.90820  -0.668
H1 -0.52460 -1.39215 -0.18783  0.378
H2 -0.07014 1.40594 -1.10906  0.281
C2 -0.19572 0.35285 -1.33646  -0.420
H3 2.02994 -0.24614 1.81429  0.315
H4 -1.00150 1.27832 0.99415  0.265
H5 -0.91386 0.44309 -2.15714  0.398
C3 1.20985 -0.30520 -1.60144  -1.426
C4 -2.47499 -0.54934 -0.33474  -1.529
H6 1.78876 -0.12426 -0.77466  0.328
H7 -2.81284 -0.99439 -1.20250  0.439
H8 -3.07822 0.42324 -0.27136  0.312
H9 -0.87879 -0.25064 1.88338  0.240
H10 -2.94905 -1.08189 0.48694  0.393
H11 2.14374 1.12087 2.40612  0.316
H12 1.24960 -1.29030 -1.57376  0.551
H13 1.55255 0.00497 -2.61866  0.303

Calculated values
* HOMO-LUMO gap: 10.51 eV
* ΔE to the lowest compared entry with this formula, charge and spin: 32.2 kcal per mole

Density functional theory data (ωB97M-V with the def2-TZVPD basis set) for a cluster of 2 separate species, C4H13NO in total at a distorted geometry.

Each line ends with the Mulliken charge.
Atoms and positions in Å:
N1 -0.92797 1.49686 -1.65693  -0.639
H1 -0.74208 -2.32335 0.90511  0.412
C1 -0.79885 0.92871 -0.29745  -0.502
H2 -1.29631 -0.92046 1.78490  0.364
C2 0.59292 -1.01021 -1.10852  -1.428
H3 -0.39372 0.89364 -2.28821  0.239
H4 0.57515 -0.75374 -2.17107  0.431
H5 0.40321 -1.10273 1.43722  0.359
H6 1.49621 -0.54840 -0.70396  0.288
H7 1.96368 1.32823 2.94200  0.273
H8 -1.55088 -0.99734 -0.87939  0.182
C3 -0.67718 -0.60695 -0.35449  0.688
H9 1.18657 1.16804 1.62420  0.268
H10 -0.35777 2.33952 -1.72099  0.266
C4 -0.59615 -1.26589 1.02522  -1.520
H11 0.74717 -2.08953 -1.08832  0.389
O1 2.00125 0.92884 2.07034  -0.635
H12 0.06900 1.33894 0.22291  0.242